[Wanted]
Your job: reproduce the whole of the block underneath character by character.

[Contents]
'''
A plane-wave DFT calculation with r²SCAN was carried out for SrIn4Pt after structural relaxation.

a = 4.5837 Å, b = 17.1591 Å, c = 7.5350 Å
α = 90.00°, β = 90.00°, γ = 90.00°
Space group Cmcm (No. 63)
Asymmetric unit:
Sr 0.0000 0.1258 0.2500
In 0.0000 0.0679 0.7500
In 0.0000 0.3155 0.0496
In 0.0000 0.5000 0.0000
Pt 0.0000 0.2244 0.7500

E_form	-59	kJ/mol of atoms

~~~~~

Record 1
Here is a relaxed structure of Na4Al3Ge3O13 from Materials Project. Energies are from PBE-GGA. Values from VASP.

Quantum ESPRESSO input file:
```
&SYSTEM
  ibrav = 0, nat = 46, ntyp = 4
/
ATOMIC_SPECIES
Na 22.99 Na.upf
Al 26.98 Al.upf
Ge 72.64 Ge.upf
O 16.00 O.upf
CELL_PARAMETERS angstrom
-9.010 1.298 -0.063
-1.340 -8.848 1.669
0.116 1.617 8.958
ATOMIC_POSITIONS crystal
Na 0.318 0.318 0.318
Na 0.349 0.666 0.666
Na 0.666 0.349 0.666
Na 0.666 0.666 0.349
Na 0.166 0.849 0.166
Na 0.849 0.166 0.166
Na 0.818 0.818 0.818
Na 0.166 0.166 0.849
Al 0.251 0.503 0.000
Al 0.503 0.000 0.251
Al 0.000 0.251 0.503
Al 0.500 0.003 0.751
Al 0.003 0.751 0.500
Al 0.751 0.500 0.003
Ge 0.251 0.000 0.503
Ge 0.000 0.503 0.251
Ge 0.503 0.251 0.000
Ge 0.003 0.500 0.751
Ge 0.500 0.751 0.003
Ge 0.751 0.003 0.500
O 0.361 0.360 0.076
O 0.360 0.076 0.361
O 0.076 0.361 0.360
O 0.358 0.647 0.925
O 0.357 0.925 0.646
O 0.079 0.643 0.643
O 0.646 0.357 0.925
O 0.643 0.079 0.643
O 0.925 0.358 0.647
O 0.643 0.643 0.079
O 0.647 0.925 0.358
O 0.925 0.646 0.357
O 0.425 0.857 0.146
O 0.143 0.579 0.143
O 0.147 0.858 0.425
O 0.579 0.143 0.143
O 0.858 0.425 0.147
O 0.857 0.146 0.425
O 0.576 0.860 0.861
O 0.861 0.576 0.860
O 0.860 0.861 0.576
O 0.425 0.147 0.858
O 0.146 0.425 0.857
O 0.143 0.143 0.579
O 0.047 0.047 0.047
O 0.547 0.547 0.547
```

Results
The corrected total energy (MP2020 scheme) is -6.62 eV/atom.

=====

Record 2
Here is a relaxed structure of Rb2Hf2O5 from Materials Project. Energies are from PBE-GGA. Values from VASP.

Quantum ESPRESSO input file:
```
&SYSTEM
  ibrav = 0, nat = 9, ntyp = 3
/
ATOMIC_SPECIES
Rb 85.47 Rb.upf
Hf 178.49 Hf.upf
O 16.00 O.upf
CELL_PARAMETERS angstrom
-3.761 0.565 -1.427
-1.384 -2.881 2.507
-1.491 6.314 6.434
ATOMIC_POSITIONS crystal
Rb 0.000 0.000 0.000
Rb 0.000 0.000 0.500
Hf 0.500 0.500 0.280
Hf 0.500 0.500 0.720
O 0.500 0.000 0.235
O 0.500 0.000 0.765
O 0.500 0.500 0.500
O 0.000 0.500 0.235
O 0.000 0.500 0.765
```

Results
The corrected total energy (MP2020 scheme) is -8.32 eV/atom.

=====

Record 3
Here is a relaxed structure of TiPd from Materials Project. Energies are from PBE-GGA. Values from VASP.

Quantum ESPRESSO input file:
```
&SYSTEM
  ibrav = 0, nat = 2, ntyp = 2
/
ATOMIC_SPECIES
Ti 47.87 Ti.upf
Pd 106.42 Pd.upf
CELL_PARAMETERS angstrom
-0.320 1.030 -2.629
-2.133 -1.822 -0.455
-2.521 2.618 1.333
ATOMIC_POSITIONS crystal
Ti 0.000 0.000 0.000
Pd 0.500 0.500 0.500
```

=====

Record 4
Here is a relaxed structure of MgAs2S2O4F12 from Materials Project. Energies are from PBE-GGA. Values from VASP.

Quantum ESPRESSO input file:
```
&SYSTEM
  ibrav = 0, nat = 84, ntyp = 5
/
ATOMIC_SPECIES
Mg 24.30 Mg.upf
As 74.92 As.upf
S 32.06 S.upf
O 16.00 O.upf
F 19.00 F.upf
CELL_PARAMETERS angstrom
10.688 0.000 0.000
0.000 10.384 0.000
0.000 0.265 12.624
ATOMIC_POSITIONS crystal
Mg 0.770 0.244 0.254
Mg 0.270 0.256 0.246
Mg 0.230 0.756 0.746
Mg 0.730 0.744 0.754
As 0.487 0.991 0.691
As 0.513 0.009 0.309
As 0.475 0.487 0.742
As 0.975 0.013 0.758
As 0.013 0.491 0.191
As 0.987 0.509 0.809
As 0.525 0.513 0.258
As 0.025 0.987 0.242
S 0.227 0.699 0.476
S 0.191 0.266 0.509
S 0.309 0.766 0.009
S 0.809 0.734 0.491
S 0.273 0.199 0.976
S 0.773 0.301 0.524
S 0.727 0.801 0.024
S 0.691 0.234 0.991
O 0.770 0.237 0.422
O 0.270 0.263 0.078
O 0.442 0.778 0.992
O 0.232 0.754 0.914
O 0.226 0.560 0.479
O 0.230 0.763 0.578
O 0.726 0.940 0.021
O 0.774 0.440 0.521
O 0.732 0.746 0.586
O 0.274 0.060 0.979
O 0.942 0.722 0.508
O 0.268 0.254 0.414
O 0.558 0.222 0.008
O 0.058 0.278 0.492
O 0.730 0.737 0.922
O 0.768 0.246 0.086
F 0.511 0.483 0.394
F 0.489 0.083 0.805
F 0.373 0.089 0.631
'''

[Result]
A plane-wave DFT calculation with r²SCAN was carried out for SrIn4Pt after structural relaxation.

a = 4.5837 Å, b = 17.1591 Å, c = 7.5350 Å
α = 90.00°, β = 90.00°, γ = 90.00°
Space group Cmcm (No. 63)
Asymmetric unit:
Sr 0.0000 0.1258 0.2500
In 0.0000 0.0679 0.7500
In 0.0000 0.3155 0.0496
In 0.0000 0.5000 0.0000
Pt 0.0000 0.2244 0.7500

E_form	-59	kJ/mol of atoms

~~~~~

Record 1
Here is a relaxed structure of Na4Al3Ge3O13 from Materials Project. Energies are from PBE-GGA. Values from VASP.

Quantum ESPRESSO input file:
```
&SYSTEM
  ibrav = 0, nat = 46, ntyp = 4
/
ATOMIC_SPECIES
Na 22.99 Na.upf
Al 26.98 Al.upf
Ge 72.64 Ge.upf
O 16.00 O.upf
CELL_PARAMETERS angstrom
-9.010 1.298 -0.063
-1.340 -8.848 1.669
0.116 1.617 8.958
ATOMIC_POSITIONS crystal
Na 0.318 0.318 0.318
Na 0.349 0.666 0.666
Na 0.666 0.349 0.666
Na 0.666 0.666 0.349
Na 0.166 0.849 0.166
Na 0.849 0.166 0.166
Na 0.818 0.818 0.818
Na 0.166 0.166 0.849
Al 0.251 0.503 0.000
Al 0.503 0.000 0.251
Al 0.000 0.251 0.503
Al 0.500 0.003 0.751
Al 0.003 0.751 0.500
Al 0.751 0.500 0.003
Ge 0.251 0.000 0.503
Ge 0.000 0.503 0.251
Ge 0.503 0.251 0.000
Ge 0.003 0.500 0.751
Ge 0.500 0.751 0.003
Ge 0.751 0.003 0.500
O 0.361 0.360 0.076
O 0.360 0.076 0.361
O 0.076 0.361 0.360
O 0.358 0.647 0.925
O 0.357 0.925 0.646
O 0.079 0.643 0.643
O 0.646 0.357 0.925
O 0.643 0.079 0.643
O 0.925 0.358 0.647
O 0.643 0.643 0.079
O 0.647 0.925 0.358
O 0.925 0.646 0.357
O 0.425 0.857 0.146
O 0.143 0.579 0.143
O 0.147 0.858 0.425
O 0.579 0.143 0.143
O 0.858 0.425 0.147
O 0.857 0.146 0.425
O 0.576 0.860 0.861
O 0.861 0.576 0.860
O 0.860 0.861 0.576
O 0.425 0.147 0.858
O 0.146 0.425 0.857
O 0.143 0.143 0.579
O 0.047 0.047 0.047
O 0.547 0.547 0.547
```

Results
The corrected total energy (MP2020 scheme) is -6.62 eV/atom.

=====

Record 2
Here is a relaxed structure of Rb2Hf2O5 from Materials Project. Energies are from PBE-GGA. Values from VASP.

Quantum ESPRESSO input file:
```
&SYSTEM
  ibrav = 0, nat = 9, ntyp = 3
/
ATOMIC_SPECIES
Rb 85.47 Rb.upf
Hf 178.49 Hf.upf
O 16.00 O.upf
CELL_PARAMETERS angstrom
-3.761 0.565 -1.427
-1.384 -2.881 2.507
-1.491 6.314 6.434
ATOMIC_POSITIONS crystal
Rb 0.000 0.000 0.000
Rb 0.000 0.000 0.500
Hf 0.500 0.500 0.280
Hf 0.500 0.500 0.720
O 0.500 0.000 0.235
O 0.500 0.000 0.765
O 0.500 0.500 0.500
O 0.000 0.500 0.235
O 0.000 0.500 0.765
```

Results
The corrected total energy (MP2020 scheme) is -8.32 eV/atom.

=====

Record 3
Here is a relaxed structure of TiPd from Materials Project. Energies are from PBE-GGA. Values from VASP.

Quantum ESPRESSO input file:
```
&SYSTEM
  ibrav = 0, nat = 2, ntyp = 2
/
ATOMIC_SPECIES
Ti 47.87 Ti.upf
Pd 106.42 Pd.upf
CELL_PARAMETERS angstrom
-0.320 1.030 -2.629
-2.133 -1.822 -0.455
-2.521 2.618 1.333
ATOMIC_POSITIONS crystal
Ti 0.000 0.000 0.000
Pd 0.500 0.500 0.500
```

=====

Record 4
Here is a relaxed structure of MgAs2S2O4F12 from Materials Project. Energies are from PBE-GGA. Values from VASP.

Quantum ESPRESSO input file:
```
&SYSTEM
  ibrav = 0, nat = 84, ntyp = 5
/
ATOMIC_SPECIES
Mg 24.30 Mg.upf
As 74.92 As.upf
S 32.06 S.upf
O 16.00 O.upf
F 19.00 F.upf
CELL_PARAMETERS angstrom
10.688 0.000 0.000
0.000 10.384 0.000
0.000 0.265 12.624
ATOMIC_POSITIONS crystal
Mg 0.770 0.244 0.254
Mg 0.270 0.256 0.246
Mg 0.230 0.756 0.746
Mg 0.730 0.744 0.754
As 0.487 0.991 0.691
As 0.513 0.009 0.309
As 0.475 0.487 0.742
As 0.975 0.013 0.758
As 0.013 0.491 0.191
As 0.987 0.509 0.809
As 0.525 0.513 0.258
As 0.025 0.987 0.242
S 0.227 0.699 0.476
S 0.191 0.266 0.509
S 0.309 0.766 0.009
S 0.809 0.734 0.491
S 0.273 0.199 0.976
S 0.773 0.301 0.524
S 0.727 0.801 0.024
S 0.691 0.234 0.991
O 0.770 0.237 0.422
O 0.270 0.263 0.078
O 0.442 0.778 0.992
O 0.232 0.754 0.914
O 0.226 0.560 0.479
O 0.230 0.763 0.578
O 0.726 0.940 0.021
O 0.774 0.440 0.521
O 0.732 0.746 0.586
O 0.274 0.060 0.979
O 0.942 0.722 0.508
O 0.268 0.254 0.414
O 0.558 0.222 0.008
O 0.058 0.278 0.492
O 0.730 0.737 0.922
O 0.768 0.246 0.086
F 0.511 0.483 0.394
F 0.489 0.083 0.805
F 0.373 0.089 0.631